-- Job --
Now count the lines underneath that contain the word "uncorrected" and give the number alone.

-- Entries --
'''
Record 1
# PBE FeSb3, relaxed
data_FeSb3
_cell_length_a 3.163
_cell_length_b 3.163
_cell_length_c 9.066
_cell_angle_alpha 90.00
_cell_angle_beta 90.00
_cell_angle_gamma 90.00
_symmetry_space_group_name_H-M 'P 4/m m m'
_symmetry_Int_Tables_number 123
_symmetry_space_group_name_Hall '-P 4 2'
loop_
_atom_site_label
_atom_site_fract_x
_atom_site_fract_y
_atom_site_fract_z
Fe1 0.000 0.000 0.000
Sb1 0.000 0.000 0.500
Sb2 0.500 0.500 0.176
# Spin magnetization   0.246 μB per atom
# E above lowest polymorph   230 meV per atom
# DFT total energy   -20.01 eV per cell
# E_form (uncorrected)   0.204 eV/atom
# Theoretical density   7.71 g cm⁻³

Record 2
# PBE Pr3GePd, relaxed
data_Pr3GePd
_cell_length_a 15.472
_cell_length_b 4.319
_cell_length_c 8.463
_cell_angle_alpha 90.00
_cell_angle_beta 90.53
_cell_angle_gamma 90.00
_symmetry_space_group_name_H-M 'C 1 2/m 1'
_symmetry_Int_Tables_number 12
_symmetry_space_group_name_Hall '-C 2y'
loop_
_atom_site_label
_atom_site_fract_x
_atom_site_fract_y
_atom_site_fract_z
Pr1 0.043 0.000 0.176
Pr2 0.102 0.500 0.562
Pr3 0.244 0.000 0.810
Ge1 0.111 0.500 0.933
Pd1 0.203 0.000 0.423
# Spin magnetization   0.000 μB per atom
# DFT total energy   -108.31 eV per cell
# Theoretical density   7.07 g cm⁻³

Record 3
# PBE Np2IrOs, relaxed
data_Np2IrOs
_cell_length_a 2.8410
_cell_length_b 2.8410
_cell_length_c 30.8986
_cell_angle_alpha 90.00
_cell_angle_beta 90.00
_cell_angle_gamma 120.00
_symmetry_space_group_name_H-M 'R -3 m'
_symmetry_Int_Tables_number 166
_symmetry_space_group_name_Hall '-R 3 2"'
loop_
_atom_site_label
_atom_site_fract_x
_atom_site_fract_y
_atom_site_fract_z
Np1 0.0000 0.0000 0.0865
Ir1 0.0000 0.0000 0.0000
Os1 0.0000 0.0000 0.5000
# Spin magnetization   1.427 μB per atom
# E above lowest polymorph   373 meV per atom
# DFT total energy   -133.85 eV per cell
# Theoretical density   19.75 g cm⁻³

Record 4
# PBE Cd2In2HgBr6, relaxed
data_Cd2In2HgBr6
_cell_length_a 7.559
_cell_length_b 7.585
_cell_length_c 8.031
_cell_angle_alpha 85.50
_cell_angle_beta 81.24
_cell_angle_gamma 71.28
_symmetry_space_group_name_H-M 'P -1'
_symmetry_Int_Tables_number 2
_symmetry_space_group_name_Hall '-P 1'
loop_
_atom_site_label
_atom_site_fract_x
_atom_site_fract_y
_atom_site_fract_z
Cd1 0.044 0.247 0.404
In1 0.493 0.191 0.750
Hg1 0.500 0.500 0.000
Br1 0.198 0.152 0.096
Br2 0.227 0.971 0.607
Br3 0.254 0.489 0.456
# Spin magnetization   0.000 μB per atom
# DFT total energy   -25.09 eV per cell
# E_form (uncorrected)   -0.677 eV/atom
# Theoretical density   4.37 g cm⁻³

Record 5
# PBE NdY15Er4, relaxed
data_NdY15Er4
_cell_length_a 5.039
_cell_length_b 5.039
_cell_length_c 25.209
_cell_angle_alpha 90.00
_cell_angle_beta 90.00
_cell_angle_gamma 90.00
_symmetry_space_group_name_H-M 'P 4/m m m'
_symmetry_Int_Tables_number 123
_symmetry_space_group_name_Hall '-P 4 2'
loop_
_atom_site_label
_atom_site_fract_x
'''

-- Worked solution --
2